[To do]
Transcribe the whole of the data further down with every line break kept.

[Excerpt]
/*
[1]
This record from OMol25 describes a cluster of 2 separate species, C14H22F6IN5O6S2 in total. The level of theory is the ωB97M-V functional and the def2-TZVPD basis.

Structure (ORCA input):
```
! wB97M-V def2-TZVPD RIJCOSX def2/J DEFGRID3
* xyz 0 1
C 3.0722 -0.6069 0.9981
C 2.7436 0.8747 0.2974
C 1.6204 0.6081 -0.9132
C 2.4471 -0.1358 -2.1629
N 0.8960 1.8666 -1.3419
C 1.6197 2.9644 -2.1499
C 1.9046 4.3299 -1.2919
C 3.4275 4.4947 -0.7139
F 3.6325 5.9775 -0.5054
F 3.6217 3.8978 0.6606
F 4.5054 4.0686 -1.6358
C -0.4500 2.1105 -1.0386
N -1.3029 1.1528 -0.2093
C -2.5712 0.7487 -0.9260
C -3.8712 1.2413 -0.0160
C -2.6028 -0.9229 -0.8781
O -2.0691 -1.6040 -1.9000
N -3.1970 -1.6181 0.3598
C -2.0753 -2.1231 1.2773
O -1.0610 -1.3302 1.7179
F -2.0329 -3.5339 1.8168
C -2.6464 1.3504 -2.4493
C -2.3107 2.9580 -2.4951
N -1.1903 3.3761 -1.5214
I -1.9605 4.4572 0.0570
H 2.3067 -1.4389 0.6896
H 4.1449 -1.0147 0.6763
H 3.0037 -0.5238 2.1840
H 2.1987 1.5188 1.1084
H 3.7455 1.3311 -0.1036
H 0.9158 -0.2387 -0.4828
H 1.8166 0.1361 -3.1348
H 3.5027 0.3508 -2.3026
H 2.4638 -1.2958 -1.9964
H 2.6394 2.6084 -2.5989
H 0.9284 3.2271 -3.0873
H 1.6976 5.2732 -1.9823
H 1.1160 4.4260 -0.4014
H -1.4703 1.5099 0.7562
H -3.6051 1.2625 1.1317
H -4.8039 0.5040 -0.1230
H -4.2362 2.3246 -0.3077
H -3.6436 -2.5016 0.0088
H -1.9003 0.7482 -3.1351
H -3.7363 1.0853 -2.8576
H -2.1019 3.3183 -3.6031
H -3.2962 3.5403 -2.1622
N -0.2103 -6.7877 3.1330
S 1.0292 -6.6394 4.0862
O 1.3306 -7.7548 4.9769
O 1.3325 -5.3096 4.6018
F 2.2088 -6.8044 3.0136
S -1.5618 -6.7448 3.9343
O -2.7184 -7.2019 3.1643
O -1.8279 -5.5865 4.7787
F -1.4180 -7.9242 4.9990
*
```

LUMO energy   -3.619 eV
Frontier orbital gap   4.42 eV
Largest force on an atom   9.87 eV Å⁻¹
Energy above the lowest of the compared OMol25 structures with the same formula, charge and spin   270.2 kcal per mole
Highest occupied orbital energy   -8.044 eV

natural (NBO) charges in e: atom 1 (C): -0.643, atom 2 (C): -0.421, atom 3 (C): -0.085, atom 4 (C): -0.638, atom 5 (N): -0.333, atom 6 (C): -0.253, atom 7 (C): -0.513, atom 8 (C): 0.994, atom 9 (F): -0.349, atom 10 (F): -0.340, atom 11 (F): -0.333, atom 12 (C): 0.780, atom 13 (N): -0.699, atom 14 (C): 0.062, atom 15 (C): -0.663, atom 16 (C): 0.706, atom 17 (O): -0.506, atom 18 (N): -0.715, atom 19 (C): 0.957, atom 20 (O): -0.567, atom 21 (F): -0.296, atom 22 (C): -0.469, atom 23 (C): -0.250, atom 24 (N): -0.696, atom 25 (I): 0.408, atom 26 (H): 0.227, atom 27 (H): 0.231, atom 28 (H): 0.253, atom 29 (H): 0.224, atom 30 (H): 0.231, atom 31 (H): 0.291, atom 32 (H): 0.215, atom 33 (H): 0.225, atom 34 (H): 0.272, atom 35 (H): 0.278, atom 36 (H): 0.262, atom 37 (H): 0.287, atom 38 (H): 0.268, atom 39 (H): 0.438, atom 40 (H): 0.241, atom 41 (H): 0.254, atom 42 (H): 0.226, atom 43 (H): 0.433, atom 44 (H): 0.257, atom 45 (H): 0.273, atom 46 (H): 0.243, atom 47 (H): 0.230, atom 48 (N): -1.185, atom 49 (S): 2.461, atom 50 (O): -0.919, atom 51 (O): -0.929, atom 52 (F): -0.515, atom 53 (S): 2.467, atom 54 (O): -0.942, atom 55 (O): -0.933, atom 56 (F): -0.502

[2]
This record from OMol25 describes a cluster of 2 separate species, C8H18NO7PS in total. The level of theory is the ωB97M-V functional and the def2-TZVPD basis.

Structure (ORCA input):
```
! wB97M-V def2-TZVPD RIJCOSX def2/J DEFGRID3
* xyz 0 1
C -1.0627 4.1828 2.2064
C -1.8637 4.2233 1.0944
C -1.4489 4.7195 -0.2496
O -0.3339 5.6284 -0.1231
S 0.8051 5.5567 -1.2710
O 0.1147 5.5196 -2.5357
O 1.3728 4.0315 -1.1435
C 1.6064 3.4725 0.1456
C 0.7681 2.2371 0.3557
N 0.3008 1.6052 -0.6328
H -0.7515 3.2302 2.6261
H -0.7280 5.0997 2.6832
H -2.8895 3.8601 1.1814
H -2.2667 5.2798 -0.7147
H -1.2246 3.8702 -0.8997
H 2.6491 3.1401 0.1595
H 1.4814 4.1929 0.9544
H 0.5885 1.8897 1.3757
H -0.2211 0.7936 -0.3044
C 1.3913 -5.5421 1.5198
O 0.3124 -5.0440 0.7016
P 0.4282 -3.5447 0.1319
O 0.4303 -2.6163 1.2722
O -1.0020 -3.6795 -0.6256
C -2.0049 -4.6527 -0.3616
O 0.9967 -2.6673 -1.0816
C 1.0864 -3.1821 -2.4208
H 1.1589 -6.5771 1.7544
*/

[Result]
[1]
This record from OMol25 describes a cluster of 2 separate species, C14H22F6IN5O6S2 in total. The level of theory is the ωB97M-V functional and the def2-TZVPD basis.

Structure (ORCA input):
```
! wB97M-V def2-TZVPD RIJCOSX def2/J DEFGRID3
* xyz 0 1
C 3.0722 -0.6069 0.9981
C 2.7436 0.8747 0.2974
C 1.6204 0.6081 -0.9132
C 2.4471 -0.1358 -2.1629
N 0.8960 1.8666 -1.3419
C 1.6197 2.9644 -2.1499
C 1.9046 4.3299 -1.2919
C 3.4275 4.4947 -0.7139
F 3.6325 5.9775 -0.5054
F 3.6217 3.8978 0.6606
F 4.5054 4.0686 -1.6358
C -0.4500 2.1105 -1.0386
N -1.3029 1.1528 -0.2093
C -2.5712 0.7487 -0.9260
C -3.8712 1.2413 -0.0160
C -2.6028 -0.9229 -0.8781
O -2.0691 -1.6040 -1.9000
N -3.1970 -1.6181 0.3598
C -2.0753 -2.1231 1.2773
O -1.0610 -1.3302 1.7179
F -2.0329 -3.5339 1.8168
C -2.6464 1.3504 -2.4493
C -2.3107 2.9580 -2.4951
N -1.1903 3.3761 -1.5214
I -1.9605 4.4572 0.0570
H 2.3067 -1.4389 0.6896
H 4.1449 -1.0147 0.6763
H 3.0037 -0.5238 2.1840
H 2.1987 1.5188 1.1084
H 3.7455 1.3311 -0.1036
H 0.9158 -0.2387 -0.4828
H 1.8166 0.1361 -3.1348
H 3.5027 0.3508 -2.3026
H 2.4638 -1.2958 -1.9964
H 2.6394 2.6084 -2.5989
H 0.9284 3.2271 -3.0873
H 1.6976 5.2732 -1.9823
H 1.1160 4.4260 -0.4014
H -1.4703 1.5099 0.7562
H -3.6051 1.2625 1.1317
H -4.8039 0.5040 -0.1230
H -4.2362 2.3246 -0.3077
H -3.6436 -2.5016 0.0088
H -1.9003 0.7482 -3.1351
H -3.7363 1.0853 -2.8576
H -2.1019 3.3183 -3.6031
H -3.2962 3.5403 -2.1622
N -0.2103 -6.7877 3.1330
S 1.0292 -6.6394 4.0862
O 1.3306 -7.7548 4.9769
O 1.3325 -5.3096 4.6018
F 2.2088 -6.8044 3.0136
S -1.5618 -6.7448 3.9343
O -2.7184 -7.2019 3.1643
O -1.8279 -5.5865 4.7787
F -1.4180 -7.9242 4.9990
*
```

LUMO energy   -3.619 eV
Frontier orbital gap   4.42 eV
Largest force on an atom   9.87 eV Å⁻¹
Energy above the lowest of the compared OMol25 structures with the same formula, charge and spin   270.2 kcal per mole
Highest occupied orbital energy   -8.044 eV

natural (NBO) charges in e: atom 1 (C): -0.643, atom 2 (C): -0.421, atom 3 (C): -0.085, atom 4 (C): -0.638, atom 5 (N): -0.333, atom 6 (C): -0.253, atom 7 (C): -0.513, atom 8 (C): 0.994, atom 9 (F): -0.349, atom 10 (F): -0.340, atom 11 (F): -0.333, atom 12 (C): 0.780, atom 13 (N): -0.699, atom 14 (C): 0.062, atom 15 (C): -0.663, atom 16 (C): 0.706, atom 17 (O): -0.506, atom 18 (N): -0.715, atom 19 (C): 0.957, atom 20 (O): -0.567, atom 21 (F): -0.296, atom 22 (C): -0.469, atom 23 (C): -0.250, atom 24 (N): -0.696, atom 25 (I): 0.408, atom 26 (H): 0.227, atom 27 (H): 0.231, atom 28 (H): 0.253, atom 29 (H): 0.224, atom 30 (H): 0.231, atom 31 (H): 0.291, atom 32 (H): 0.215, atom 33 (H): 0.225, atom 34 (H): 0.272, atom 35 (H): 0.278, atom 36 (H): 0.262, atom 37 (H): 0.287, atom 38 (H): 0.268, atom 39 (H): 0.438, atom 40 (H): 0.241, atom 41 (H): 0.254, atom 42 (H): 0.226, atom 43 (H): 0.433, atom 44 (H): 0.257, atom 45 (H): 0.273, atom 46 (H): 0.243, atom 47 (H): 0.230, atom 48 (N): -1.185, atom 49 (S): 2.461, atom 50 (O): -0.919, atom 51 (O): -0.929, atom 52 (F): -0.515, atom 53 (S): 2.467, atom 54 (O): -0.942, atom 55 (O): -0.933, atom 56 (F): -0.502

[2]
This record from OMol25 describes a cluster of 2 separate species, C8H18NO7PS in total. The level of theory is the ωB97M-V functional and the def2-TZVPD basis.

Structure (ORCA input):
```
! wB97M-V def2-TZVPD RIJCOSX def2/J DEFGRID3
* xyz 0 1
C -1.0627 4.1828 2.2064
C -1.8637 4.2233 1.0944
C -1.4489 4.7195 -0.2496
O -0.3339 5.6284 -0.1231
S 0.8051 5.5567 -1.2710
O 0.1147 5.5196 -2.5357
O 1.3728 4.0315 -1.1435
C 1.6064 3.4725 0.1456
C 0.7681 2.2371 0.3557
N 0.3008 1.6052 -0.6328
H -0.7515 3.2302 2.6261
H -0.7280 5.0997 2.6832
H -2.8895 3.8601 1.1814
H -2.2667 5.2798 -0.7147
H -1.2246 3.8702 -0.8997
H 2.6491 3.1401 0.1595
H 1.4814 4.1929 0.9544
H 0.5885 1.8897 1.3757
H -0.2211 0.7936 -0.3044
C 1.3913 -5.5421 1.5198
O 0.3124 -5.0440 0.7016
P 0.4282 -3.5447 0.1319
O 0.4303 -2.6163 1.2722
O -1.0020 -3.6795 -0.6256
C -2.0049 -4.6527 -0.3616
O 0.9967 -2.6673 -1.0816
C 1.0864 -3.1821 -2.4208
H 1.1589 -6.5771 1.7544